To do:
Copy the lines further below from the one with "0.667 0.468" to the one with "Mg3 0.667" without additions, please.
Listing:
- - -
Below is crystalline Eu2CuGe4O12 at its relaxed geometry, with properties calculated at the GGA-PBEsol level.

Values from the calculation:
As for the space group: P-1. For the total moment, the calculation gives 0.684 μB/atom. The value obtained for the uncorrected formation energy is -1.89 eV per atom.

abc: 4.834 7.291 8.091
angles: 67.12 86.70 76.28
Sites, in units of the cell vectors:
Eu1 0.056 0.267 0.453
Eu2 0.944 0.733 0.547
Cu1 0.000 0.500 0.000
Ge1 0.415 0.881 0.803
Ge2 0.455 0.675 0.213
Ge3 0.545 0.325 0.787
Ge4 0.585 0.119 0.197
O1 0.233 0.568 0.382
O2 0.236 0.914 0.610
O3 0.241 0.274 0.178
O4 0.246 0.808 0.009
O5 0.251 0.507 0.810
O6 0.414 0.150 0.726
O7 0.586 0.850 0.274
O8 0.749 0.493 0.190
O9 0.754 0.192 0.991
O10 0.759 0.726 0.822
O11 0.764 0.086 0.390
O12 0.767 0.432 0.618

---

Below is crystalline KEuCu2Te4 at its relaxed geometry, with properties calculated at the GGA-PBEsol level.

Values from the calculation:
As for the space group: P4mm. For the total moment, the calculation gives 0.835 μB/atom. The value obtained for the uncorrected formation energy is -0.68 eV per atom.

abc: 4.369 4.369 10.965
angles: 90.00 90.00 90.00
Sites, in units of the cell vectors:
K1 0.000 0.000 0.000
Eu1 0.500 0.500 0.491
Cu1 0.000 0.500 0.724
Cu2 0.500 0.000 0.724
Te1 0.000 0.000 0.579
Te2 0.000 0.500 0.265
Te3 0.500 0.000 0.265
Te4 0.500 0.500 0.854

---

Below is crystalline EuMg2Cu9 at its relaxed geometry, with properties calculated at the GGA-PBEsol level.

Values from the calculation:
As for the space group: P6_3/mmc. For the total moment, the calculation gives 0.592 μB/atom. The formation enthalpy at 0 K comes out at -1.58 eV per formula unit.

abc: 4.979 4.979 15.800
angles: 90.00 90.00 120.00
Sites, in units of the cell vectors:
Eu1 0.333 0.667 0.250
Eu2 0.667 0.333 0.750
Mg1 0.333 0.667 0.032
Mg2 0.333 0.667 0.468
Mg3 0.667 0.333 0.532
Mg4 0.667 0.333 0.968
Cu1 0.000 0.000 0.000
Cu2 0.000 0.000 0.250
Cu3 0.000 0.000 0.500
Cu4 0.000 0.000 0.750
Cu5 0.168 0.337 0.623
Cu6 0.168 0.337 0.877
Cu7 0.168 0.832 0.623
Cu8 0.168 0.832 0.877
Cu9 0.333 0.667 0.750
Cu10 0.337 0.168 0.123
Cu11 0.337 0.168 0.377
Cu12 0.663 0.832 0.623
Cu13 0.663 0.832 0.877
Cu14 0.667 0.333 0.250
Cu15 0.832 0.168 0.123
Cu16 0.832 0.168 0.377
Cu17 0.832 0.663 0.123
Cu18 0.832 0.663 0.377
- - -
Worked solution:
Mg2 0.333 0.667 0.468
Mg3 0.667 0.333 0.532